<<<
Entry 1:
Structure and computed X-ray powder pattern of Mn2AlNi3 (a cell relaxed with PBE; Cu Kα X-rays).
No peak broadening, texture or thermal motion is included.

abc: 4.1011 4.1011 10.0673
angles: 90.00 90.00 120.00
Fractional coordinates of all 12 atoms:
Mn: 0.0000 0.0000 0.0000
Mn: 0.0000 0.0000 0.5000
Mn: 0.3333 0.6667 0.1682
Mn: 0.6667 0.3333 0.8318
Al: 0.3333 0.6667 0.6662
Al: 0.6667 0.3333 0.3338
Ni: 0.0000 0.0000 0.2508
Ni: 0.0000 0.0000 0.7492
Ni: 0.3333 0.6667 0.4179
Ni: 0.3333 0.6667 0.9173
Ni: 0.6667 0.3333 0.0827
Ni: 0.6667 0.3333 0.5821

Most intense lines, 5 to 70 degrees two-theta, by angle:
2θ 8.8, I 1
2θ 26.6, I 2
2θ 30.8, I 4
2θ 44.1, I 100
2θ 52.3, I 1
2θ 54.8, I 1
2θ 64.2, I 15


Entry 2:
Structure and computed X-ray powder pattern of Pu5Ga4Rh (a cell relaxed with PBE; Cu Kα X-rays).
No peak broadening, texture or thermal motion is included.

abc: 3.8619 3.8619 12.5006
angles: 90.00 90.00 90.00
Fractional coordinates of all 10 atoms:
Pu: 0.0000 0.0000 0.0000
Pu: 0.0000 0.0000 0.1902
Pu: 0.0000 0.0000 0.3732
Pu: 0.0000 0.0000 0.6268
Pu: 0.0000 0.0000 0.8098
Ga: 0.5000 0.5000 0.0965
Ga: 0.5000 0.5000 0.2935
Ga: 0.5000 0.5000 0.7065
Ga: 0.5000 0.5000 0.9035
Rh: 0.5000 0.5000 0.5000

Most intense lines, 5 to 70 degrees two-theta, by angle:
2θ 23.0, I 56
2θ 32.8, I 100
2θ 35.9, I 6
2θ 43.1, I 74
2θ 47.1, I 37
2θ 49.4, I 10
2θ 49.7, I 9
2θ 53.0, I 13
2θ 65.7, I 43
2θ 68.8, I 12


Entry 3:
Structure and computed X-ray powder pattern of CeDy2TmTl4 (a cell relaxed with PBE; Cu Kα X-rays).
No peak broadening, texture or thermal motion is included.

abc: 9.4037 9.4037 9.4037
angles: 33.26 33.26 33.26
Fractional coordinates of all 8 atoms:
Ce: 0.0000 0.0000 0.0000
Dy: 0.2489 0.2489 0.2489
Dy: 0.7511 0.7511 0.7511
Tm: 0.5000 0.5000 0.5000
Tl: 0.1265 0.1265 0.1265
Tl: 0.3770 0.3770 0.3770
Tl: 0.6230 0.6230 0.6230
Tl: 0.8735 0.8735 0.8735

Most intense lines, 5 to 70 degrees two-theta, by angle:
2θ 23.3, I 3
2θ 33.1, I 100
2θ 33.3, I 99
2θ 41.0, I 1
2θ 47.6, I 37
2θ 58.9, I 19
2θ 59.4, I 38
2θ 59.5, I 19
2θ 69.4, I 12
2θ 69.9, I 12

=====

Structure and computed powder X-ray diffraction pattern of Os4O11 (the PBE geometry in OQMD; Cu Kα (λ = 1.5418 Å)).

Structure:
```
Os4O11
1.0
4.880 0.000 0.000
1.201 4.832 0.000
1.826 0.296 8.532
Os O
4 11
Cartesian
0.000 0.000 0.000
1.964 3.408 2.547
4.665 1.366 6.481
5.853 3.948 5.371
2.509 4.068 4.259
1.061 0.222 1.650
3.103 0.976 7.486
3.078 2.139 2.353
4.283 3.234 6.263
3.806 0.799 4.857
5.478 1.666 8.408
5.286 3.289 3.574
6.728 4.476 7.063
6.250 2.037 5.695
5.679 3.290 0.967
```

Most intense lines, 10 to 90 degrees two-theta, in order of falling intensity:
two_theta, intensity, (hkl)
23.53, 100, 1 0 -1
20.82, 97, 0 1 1
19.90, 89, 1 0 1
23.33, 65, 1 1 0
25.44, 57, 1 0 2
10.37, 53, 0 0 1
27.38, 49, 0 1 2
21.45, 45, 0 1 -1
44.61, 43, 1 1 4
19.11, 43, 1 0 0

=====

Record 1
The following is a theoretical PXRD pattern of CaMo2O5. It was derived from a crystal structure in the Materials Project, relaxed with GGA+U, using Cu Kα (weighted mean of Kα1 and Kα2).
Neutral-atom scattering factors, no anomalous dispersion.

Largest 10 diffraction maxima, low angle first, 2θ from 10° to 90°:
- d = 5.480 Å, 16.17 deg, I = 1000, hkl 0 2 0
- d = 3.972 Å, 22.38 deg, I = 593, hkl 1 1 0
- d = 3.754 Å, 23.70 deg, I = 396, hkl 1 1 1
- d = 3.160 Å, 28.24 deg, I = 477, hkl 0 2 3
- d = 2.770 Å, 32.32 deg, I = 827, hkl 1 1 3
- d = 2.696 Å, 33.23 deg, I = 184, hkl 1 3 1
- d = 2.128 Å, 42.49 deg, I = 270, hkl 2 0 0
- d = 1.934 Å, 46.98 deg, I = 146, hkl 0 0 6
- d = 1.765 Å, 51.80 deg, I = 155, hkl 2 2 3
- d = 1.618 Å, 56.92 deg, I = 175, hkl 1 5 4

Crystal structure
```
data_CaMo2O5
_symmetry_space_group_name_H-M 'C m c m'
_symmetry_Int_Tables_number 63
_symmetry_space_group_name_Hall '-C 2c 2'
_cell_length_a 4.255
_cell_length_b 10.960
_cell_length_c 11.605
_cell_angle_alpha 90.00
_cell_angle_beta 90.00
_cell_angle_gamma 90.00
loop_
_atom_site_label
_atom_site_type_symbol
_atom_site_fract_x
>>>
Repeat all of the notes above with every line break kept.
Entry 1:
Structure and computed X-ray powder pattern of Mn2AlNi3 (a cell relaxed with PBE; Cu Kα X-rays).
No peak broadening, texture or thermal motion is included.

abc: 4.1011 4.1011 10.0673
angles: 90.00 90.00 120.00
Fractional coordinates of all 12 atoms:
Mn: 0.0000 0.0000 0.0000
Mn: 0.0000 0.0000 0.5000
Mn: 0.3333 0.6667 0.1682
Mn: 0.6667 0.3333 0.8318
Al: 0.3333 0.6667 0.6662
Al: 0.6667 0.3333 0.3338
Ni: 0.0000 0.0000 0.2508
Ni: 0.0000 0.0000 0.7492
Ni: 0.3333 0.6667 0.4179
Ni: 0.3333 0.6667 0.9173
Ni: 0.6667 0.3333 0.0827
Ni: 0.6667 0.3333 0.5821

Most intense lines, 5 to 70 degrees two-theta, by angle:
2θ 8.8, I 1
2θ 26.6, I 2
2θ 30.8, I 4
2θ 44.1, I 100
2θ 52.3, I 1
2θ 54.8, I 1
2θ 64.2, I 15


Entry 2:
Structure and computed X-ray powder pattern of Pu5Ga4Rh (a cell relaxed with PBE; Cu Kα X-rays).
No peak broadening, texture or thermal motion is included.

abc: 3.8619 3.8619 12.5006
angles: 90.00 90.00 90.00
Fractional coordinates of all 10 atoms:
Pu: 0.0000 0.0000 0.0000
Pu: 0.0000 0.0000 0.1902
Pu: 0.0000 0.0000 0.3732
Pu: 0.0000 0.0000 0.6268
Pu: 0.0000 0.0000 0.8098
Ga: 0.5000 0.5000 0.0965
Ga: 0.5000 0.5000 0.2935
Ga: 0.5000 0.5000 0.7065
Ga: 0.5000 0.5000 0.9035
Rh: 0.5000 0.5000 0.5000

Most intense lines, 5 to 70 degrees two-theta, by angle:
2θ 23.0, I 56
2θ 32.8, I 100
2θ 35.9, I 6
2θ 43.1, I 74
2θ 47.1, I 37
2θ 49.4, I 10
2θ 49.7, I 9
2θ 53.0, I 13
2θ 65.7, I 43
2θ 68.8, I 12


Entry 3:
Structure and computed X-ray powder pattern of CeDy2TmTl4 (a cell relaxed with PBE; Cu Kα X-rays).
No peak broadening, texture or thermal motion is included.

abc: 9.4037 9.4037 9.4037
angles: 33.26 33.26 33.26
Fractional coordinates of all 8 atoms:
Ce: 0.0000 0.0000 0.0000
Dy: 0.2489 0.2489 0.2489
Dy: 0.7511 0.7511 0.7511
Tm: 0.5000 0.5000 0.5000
Tl: 0.1265 0.1265 0.1265
Tl: 0.3770 0.3770 0.3770
Tl: 0.6230 0.6230 0.6230
Tl: 0.8735 0.8735 0.8735

Most intense lines, 5 to 70 degrees two-theta, by angle:
2θ 23.3, I 3
2θ 33.1, I 100
2θ 33.3, I 99
2θ 41.0, I 1
2θ 47.6, I 37
2θ 58.9, I 19
2θ 59.4, I 38
2θ 59.5, I 19
2θ 69.4, I 12
2θ 69.9, I 12

=====

Structure and computed powder X-ray diffraction pattern of Os4O11 (the PBE geometry in OQMD; Cu Kα (λ = 1.5418 Å)).

Structure:
```
Os4O11
1.0
4.880 0.000 0.000
1.201 4.832 0.000
1.826 0.296 8.532
Os O
4 11
Cartesian
0.000 0.000 0.000
1.964 3.408 2.547
4.665 1.366 6.481
5.853 3.948 5.371
2.509 4.068 4.259
1.061 0.222 1.650
3.103 0.976 7.486
3.078 2.139 2.353
4.283 3.234 6.263
3.806 0.799 4.857
5.478 1.666 8.408
5.286 3.289 3.574
6.728 4.476 7.063
6.250 2.037 5.695
5.679 3.290 0.967
```

Most intense lines, 10 to 90 degrees two-theta, in order of falling intensity:
two_theta, intensity, (hkl)
23.53, 100, 1 0 -1
20.82, 97, 0 1 1
19.90, 89, 1 0 1
23.33, 65, 1 1 0
25.44, 57, 1 0 2
10.37, 53, 0 0 1
27.38, 49, 0 1 2
21.45, 45, 0 1 -1
44.61, 43, 1 1 4
19.11, 43, 1 0 0

=====

Record 1
The following is a theoretical PXRD pattern of CaMo2O5. It was derived from a crystal structure in the Materials Project, relaxed with GGA+U, using Cu Kα (weighted mean of Kα1 and Kα2).
Neutral-atom scattering factors, no anomalous dispersion.

Largest 10 diffraction maxima, low angle first, 2θ from 10° to 90°:
- d = 5.480 Å, 16.17 deg, I = 1000, hkl 0 2 0
- d = 3.972 Å, 22.38 deg, I = 593, hkl 1 1 0
- d = 3.754 Å, 23.70 deg, I = 396, hkl 1 1 1
- d = 3.160 Å, 28.24 deg, I = 477, hkl 0 2 3
- d = 2.770 Å, 32.32 deg, I = 827, hkl 1 1 3
- d = 2.696 Å, 33.23 deg, I = 184, hkl 1 3 1
- d = 2.128 Å, 42.49 deg, I = 270, hkl 2 0 0
- d = 1.934 Å, 46.98 deg, I = 146, hkl 0 0 6
- d = 1.765 Å, 51.80 deg, I = 155, hkl 2 2 3
- d = 1.618 Å, 56.92 deg, I = 175, hkl 1 5 4

Crystal structure
```
data_CaMo2O5
_symmetry_space_group_name_H-M 'C m c m'
_symmetry_Int_Tables_number 63
_symmetry_space_group_name_Hall '-C 2c 2'
_cell_length_a 4.255
_cell_length_b 10.960
_cell_length_c 11.605
_cell_angle_alpha 90.00
_cell_angle_beta 90.00
_cell_angle_gamma 90.00
loop_
_atom_site_label
_atom_site_type_symbol
_atom_site_fract_x